Hello world!!

The goal of this tutorial it’s to know how to check infected files with Java and ClamAv.

About ClamAv

ClamAv it’s a free, open source and cross-platform antivirus software tool-kit that allow to detect many types of malicious software.

A very nice feature of ClamAv its the possibility of scan a stream for know if the stream its infected or not. So is not necessary to make mechanics procedures for saving the file and after check the file with an antivirus.

![](/images/free-solution-for-check-infected-files-with-java-and-clamav/bravoslab-leb-23625 -01.png)

So in this tutorial we will show how you need to configure ClamAv like a daemon for listen the stream and how you can call ClamAv with Java for check your files programmaly. Es: in a upload form, ecc.

Configuration of ClamAv

Like we say above, ClamAv it’s cross-platform so its compatible, with Windows, Linux, MacOsx, ecc. All the version has a main file for the configuration: “clamd.conf”

Changing this files we can configure ClamAv listening like a server for the communication .

You have many properties in the clamd.conf file, but we want to change the follow properties:

# TCP port address.
# Default: no
TCPSocket 3310
# TCP address.
# By default we bind to INADDR_ANY, probably not wise.
# Enable the following to provide some degree of protection
# from the outside world.
# Default: no

With this configurarion, ClamAv will start listening in the localhost address and in the port 3310.

Java programming solution

== What comes next are calculated molecules, not part of the page ==
-- begin --
Record 1
This record from the Open Molecules 2025 dataset describes a 2-piece molecular cluster, C2H7OPS2 overall. The level of theory is the ωB97M-V functional and the def2-TZVPD basis.

## Properties
**Charge**: 0
**Kohn-Sham gap (alpha / beta)**: 8.92 / 5.15 eV
**E_HOMO (alpha / beta)**: -0.336 / -0.263 Ha
**Lowest unoccupied orbital energy (alpha / beta)**: -0.215 / -2.019 eV
**Energy relative to the best compared isomer or geometry (same formula, charge and spin)**: 3.8194 eV

Structure (XYZ):
```
13
Properties=species:S:1:pos:R:3:mulliken_charge:R:1
C 0.258 0.633 -0.409 -1.283
C 0.683 -0.767 -0.851 -0.360
O -1.740 -1.449 0.082 -0.422
P -0.205 -1.670 0.532 0.048
S -2.888 1.239 4.296 -0.165
S -1.441 0.532 3.030 -0.101
H -0.732 0.808 -0.339 0.467
H 0.710 0.967 0.469 0.358
H 0.679 1.318 -1.140 0.343
H 1.882 -0.812 -0.708 0.271
H 0.275 -1.144 -1.820 0.328
H -2.387 -1.344 0.711 0.313
H -0.308 1.027 3.792 0.202
```



Record 2
This record from the Open Molecules 2025 dataset describes the molecule C6H9N. The level of theory is the ωB97M-V functional and the def2-TZVPD basis.

## Properties
**Charge**: 0
**Kohn-Sham gap**: 10.79 eV
**SMILES**: C[C@H]1C[C@H]1C1=NC1
**E_HOMO**: -0.357 Ha
**Lowest unoccupied orbital energy**: 1.070 eV
**Energy relative to the best compared isomer or geometry (same formula, charge and spin)**: 2.6744 eV

Structure (XYZ):
```
16
Properties=species:S:1:pos:R:3:mulliken_charge:R:1
C -0.141 1.656 0.650 -1.353
C -0.551 1.017 -0.656 0.216
C 0.407 0.253 -1.504 -0.745
C 0.717 -1.758 1.248 -0.348
C -0.708 -0.487 -0.794 -0.035
C -0.301 -1.361 0.299 0.182
N -0.637 -2.384 0.946 -0.648
H 0.602 1.050 1.177 0.260
H 0.294 2.646 0.474 0.365
H -1.006 1.779 1.311 0.324
H -1.309 1.572 -1.206 0.342
H 0.354 0.337 -2.585 0.267
H 1.595 -2.315 0.917 0.222
H 1.406 0.087 -1.107 0.273
H 0.827 -1.244 2.204 0.243
H -1.552 -0.848 -1.375 0.434
```



Record 3
This record from the Open Molecules 2025 dataset describes the molecule C3H6N4S. The level of theory is the ωB97M-V functional and the def2-TZVPD basis.

## Properties
**Charge**: 0
**Kohn-Sham gap**: 8.41 eV
**SMILES**: Cc1n[nH]n(N)c1=S
**E_HOMO**: -0.291 Ha
**Lowest unoccupied orbital energy**: 0.479 eV
**Energy relative to the best compared isomer or geometry (same formula, charge and spin)**: 2.8457 eV

Structure (XYZ):
```
14
Properties=species:S:1:pos:R:3:mulliken_charge:R:1
C -2.327 0.558 -0.058 -1.096
C -0.959 0.050 0.059 0.504
C 0.348 0.641 0.047 0.166
H -3.136 -0.204 0.018 0.317
H -2.497 1.019 -0.993 0.277
H -2.554 1.363 0.654 0.307
H 0.976 -2.358 0.196 0.277
H 2.935 0.280 -0.701 0.292
H 2.843 -0.044 0.976 0.296
N -0.776 -1.269 0.092 -0.563
N 0.542 -1.514 -0.146 -0.075
N 1.213 -0.336 -0.112 0.566
N 2.608 -0.402 -0.018 -0.840
S 0.784 2.217 -0.014 -0.428
```



Which of these has the highest energy relative to the best compared isomer or geometry (same formula, charge and spin)? C2H7OPS2



What is the formula in the first record? C2H7OPS2
-- stop --

Now we start the nice trip :)

For comunicate with Java and ClamAv, there is a simple but efficient Open Source Api created by Phil Varner(Thanks a lot!!!). The name of the Api is Clamavj clamavj-0.1.jar. This library depends for the org.apache.commons.logging library org.apache.commons.logging.jar.

In the ClamAv Api there are basicaly two classes: ClamScan and ScanResult.

ClamScan is the client for the communication with the ClamAv Server. ScanResult its the entity for encapsulate the response.

The ClamScan client has the method “scan” that allows to check if the stream is infected or not.

You have two method for scan:

ScanResult scan(InputStream in)
ScanResult scan(byte[] in)

For example if we want simply to check if a file is infected we need to pass the InputStream of the file in the parameter of the method.

The state of the result are { PASSED, FAILED }

You have many other functionalities in the ClamScan Client(timeOut, ping, ecc), but in this tutorial will not be discussed.

Java Example

In the follow an example:

public static void main(String[] args) {
	ClamScan clamScan = new ClamScan("", 3310, 20);

    try {
    	ScanResult result = clamScan.scan(new FileInputStream("C:\\test.jpg"));
    } catch (FileNotFoundException e) {
    } catch (IOException e) {

Just if The result it’s PASSED the file it’s not infected otherwise if the result it’s FAILED the file it’s infected.

Test the program

Maybe now you are asking: Ok, but how can i check the function properly without infecting my computer with a virus?

No Problem. We can create a mock infected file with the notepad. The European Institute of Computer Anti-virus Research give us an string to make an infected file.

So with the notepad we insert:


Note:Remove the substring TODELETE.

And we save the file for example test.jpg.

If we check the file with our program , the response is FAILED and the ClamAv console response is:

instream( Eicar-Test-Signature FOUND

the programs can detect the infected files so it’s working!!!


